### Excerpt
+++
Run P
A relaxed Mn2TlHg crystal, computed with PBE.

abc: 9.048 9.048 9.048
angles: 20.74 20.74 20.74
Each line ends with the local moment (μB).
Element x y z (fractional)
Mn 0.997 0.997 0.997  3.86
Mn 0.503 0.503 0.503  3.86
Tl 0.750 0.750 0.750  -0.01
Hg 0.250 0.250 0.250  -0.07

Values from the calculation:
space-group type: R-3m, No. 166
M_tot: 7.9 μB per formula unit


Run Q
A relaxed Mn2TlHg crystal, computed with PBE.

abc: 4.954 4.954 4.954
angles: 126.75 126.67 78.73
Each line ends with the local moment (μB).
Element x y z (fractional)
Mn 0.500 0.500 0.000  3.65
Mn 0.000 0.000 0.000  3.65
Hg 0.250 0.750 0.500  -0.06
Tl 0.750 0.250 0.500  -0.08

Values from the calculation:
space-group type: I4/mmm, No. 139
M_tot: 7.4 μB per formula unit


Stability ranking, top and bottom: run Q is the most stable and run P is the least stable.


Run P
A relaxed MnV3Hg crystal, computed with PBE.

abc: 4.347 4.347 4.347
angles: 90.00 90.00 90.00
Element x y z (fractional)
V 0.000 0.000 0.500
V 0.500 0.000 0.000
V 0.000 0.500 0.000
Mn 0.000 0.000 0.000
Hg 0.500 0.500 0.500

Values from the calculation:
space-group type: Pm-3m, No. 221
M_tot: 0.0 μB per formula unit


Run Q
A relaxed MnV3Hg crystal, computed with PBE.

abc: 5.034 5.034 5.034
angles: 90.00 90.00 90.00
Each line ends with the local moment (μB).
Element x y z (fractional)
Mn 0.500 0.500 0.500  4.35
V 0.500 0.000 0.000  2.46
V 0.000 0.000 0.500  2.46
V 0.000 0.500 0.000  2.46
Hg 0.000 0.000 0.000  0.12

Values from the calculation:
space-group type: Pm-3m, No. 221
M_tot: 13.7 μB per formula unit


Stability ranking, top and bottom: run P is the most stable and run Q is the least stable.


Run P
A relaxed MnHg2W crystal, computed with PBE.

abc: 9.569 9.569 9.569
angles: 18.00 18.00 18.00
Each line ends with the local moment (μB).
Element x y z (fractional)
Hg 0.502 0.502 0.502  -0.03
Hg 0.998 0.998 0.998  -0.03
W 0.750 0.750 0.750  -0.10
Mn 0.250 0.250 0.250  3.71

Values from the calculation:
space-group type: R-3m, No. 166
M_tot: 3.7 μB per formula unit


Run Q
A relaxed MnHg2W crystal, computed with PBE.

abc: 4.229 2.886 6.549
angles: 63.96 90.00 90.00
Each line ends with the local moment (μB).
Element x y z (fractional)
Hg 0.000 0.502 0.497  -0.04
Hg 0.000 0.998 0.003  -0.04
Mn 0.500 0.250 0.250  3.58
W 0.500 0.750 0.750  -0.49

Values from the calculation:
space-group type: P2/m, No. 10
M_tot: 3.0 μB per formula unit


Run R
A relaxed MnHg2W crystal, computed with PBE.

abc: 6.542 5.198 2.861
angles: 89.98 64.11 120.61
Each line ends with the local moment (μB).
Element x y z (fractional)
Mn 0.000 0.500 0.500  3.66
W 0.500 0.500 0.000  -0.10
Hg 0.000 0.000 0.000  -0.01
Hg 0.500 0.000 0.500  -0.01

Values from the calculation:
space-group type: Cmmm, No. 65
M_tot: 3.7 μB per formula unit


Run S
A relaxed MnHg2W crystal, computed with PBE.

abc: 5.040 5.040 5.235
angles: 79.83 79.83 33.80
Each line ends with the local moment (μB).
Element x y z (fractional)
W 0.250 0.250 0.250  -0.58
Hg 0.003 0.003 0.998  -0.04
Hg 0.497 0.497 0.502  -0.04
Mn 0.750 0.750 0.750  3.52

Values from the calculation:
space-group type: C2/m, No. 12
M_tot: 2.9 μB per formula unit


Stability ranking, top and bottom: run P is the most stable and run S is the least stable.


Run P
A relaxed MnHg2W crystal, computed with PBE.

abc: 4.572 4.572 4.572
angles: 60.00 60.00 60.00
Element x y z (fractional)
W 0.500 0.500 0.500
Hg 0.250 0.250 0.250
Hg 0.750 0.750 0.750
Mn 0.000 0.000 0.000

Values from the calculation:
space-group type: Fm-3m, No. 225
M_tot: 0.0 μB per formula unit


Run Q
A relaxed MnHg2W crystal, computed with PBE.

abc: 4.672 4.672 4.672
angles: 60.00 60.00 60.00
Each line ends with the local moment (μB).
Element x y z (fractional)
Mn 0.500 0.500 0.500  3.21
W 0.250 0.250 0.250  -1.26
Hg 0.000 0.000 0.000  -0.01
Hg 0.750 0.750 0.750  0.01

Values from the calculation:
space-group type: F-43m, No. 216
M_tot: 1.9 μB per formula unit


Run R
A relaxed MnHg2W crystal, computed with PBE.
+++
### Work order
Write out only the lines further above with the word "Mn2TlHg" in them.
### Reply
A relaxed Mn2TlHg crystal, computed with PBE.
A relaxed Mn2TlHg crystal, computed with PBE.